His holy kung-fuiness continues..

Thursday, September 18, 2008

Must you have battle in your heart forever?

The bloody toil of combat?

Old contender, will you not yield to the immortal gods?

~~~
1.
Ba3WCl2O5: calculated XRD peak list (CuKα), based on a DFT-relaxed cell (PBE+U, the Materials Project).
Neutral-atom scattering factors, no anomalous dispersion.

Main lines, low angle first (2θ from 10° to 80°):
d_spacing  intensity  index
7.015  54  0 2 0
3.991  44  1 1 2
3.502  100  1 3 1
3.175  59  1 1 3
3.110  81  1 3 2
2.959  58  2 0 0

Atomic structure:
```
data_Ba3WCl2O5
_chemical_formula_sum 'Ba12 W4 Cl8 O20'
_cell_length_a 5.9184
_cell_length_b 14.0296
_cell_length_c 11.7143
_cell_angle_alpha 90.00
_cell_angle_beta 90.00
_cell_angle_gamma 90.00
_symmetry_space_group_name_H-M 'C m c m'
_symmetry_Int_Tables_number 63
_symmetry_space_group_name_Hall '-C 2c 2'
loop_
_atom_site_label
_atom_site_type_symbol
_atom_site_fract_x
_atom_site_fract_y
_atom_site_fract_z
_atom_site_occupancy
Ba1 Ba 0.0000 0.0913 0.2500 1
Ba2 Ba 0.0000 0.3461 0.0444 1
W1 W 0.0000 0.2462 0.7500 1
Cl1 Cl 0.0000 0.0000 0.0000 1
Cl2 Cl 0.0000 0.4956 0.7500 1
O1 O 0.0000 0.1190 0.7500 1
O2 O 0.2240 0.2806 0.6364 1
```

---

2.
Fe5O7F3: calculated XRD peak list (CuKα), based on a DFT-relaxed cell (PBE+U, the Materials Project).
Neutral-atom scattering factors, no anomalous dispersion.

Main lines, low angle first (2θ from 10° to 80°):
d_spacing  intensity  index
3.345  100  1 1 0
3.253  98  1 -1 0
2.552  55  0 1 5
2.541  51  1 0 -5
1.738  30  2 1 5
1.706  41  -2 1 5

Atomic structure:
```
data_Fe5O7F3
_chemical_formula_sum 'Fe10 O14 F6'
_cell_length_a 4.6605
_cell_length_b 4.6707
_cell_length_c 15.1963
_cell_angle_alpha 89.66
_cell_angle_beta 89.79
_cell_angle_gamma 88.40
_symmetry_space_group_name_H-M 'P -1'
_symmetry_Int_Tables_number 2
loop_
_symmetry_equiv_pos_as_xyz
'x,y,z'
'-x,-y,-z'
loop_
_atom_site_label
_atom_site_type_symbol
_atom_site_fract_x
_atom_site_fract_y
_atom_site_fract_z
_atom_site_occupancy
Fe1 Fe 0.0000 0.0000 0.0000 1
Fe2 Fe 0.0016 0.9947 0.7992 1
Fe3 Fe 0.0177 0.9686 0.4052 1
Fe4 Fe 0.4736 0.4749 0.0992 1
Fe5 Fe 0.4786 0.4630 0.7066 1
Fe6 Fe 0.5000 0.5000 0.5000 1
O1 O 0.1732 0.1824 0.7016 1
O2 O 0.1779 0.1808 0.1001 1
O3 O 0.2000 0.2000 0.4982 1
O4 O 0.2973 0.6960 0.1959 1
O5 O 0.3057 0.6933 0.9998 1
O6 O 0.3075 0.6959 0.8023 1
O7 O 0.3293 0.6853 0.3992 1
F1 F 0.2072 0.2022 0.9004 1
F2 F 0.2127 0.2002 0.3013 1
F3 F 0.2852 0.6985 0.6043 1
```

---

3.
Fe2O3: calculated XRD peak list (CuKα), based on a DFT-relaxed cell (PBE+U, the Materials Project).
Neutral-atom scattering factors, no anomalous dispersion.

Main lines, low angle first (2θ from 10° to 80°):
d_spacing  intensity  index
3.278  27  0 2 2
3.012  33  0 1 3
2.772  100  1 2 2
2.608  28  2 0 0
2.501  31  1 3 1
1.542  32  1 3 5

Atomic structure:
```
data_Fe2O3
_chemical_formula_sum 'Fe16 O24'
_cell_length_a 5.2153
_cell_length_b 8.9525
_cell_length_c 9.5955
_cell_angle_alpha 90.00
_cell_angle_beta 90.00
_cell_angle_gamma 90.00
_symmetry_space_group_name_H-M 'P n a 21'
_symmetry_Int_Tables_number 33
loop_
_symmetry_equiv_pos_as_xyz
'x,y,z'
'-x,-y,z+1/2'
'-x+1/2,y+1/2,z+1/2'
~~~
The records of crystals stop here =

That nightmare cannot die, being eternal evil itslef - horror, pain, chaos:

There is no fighting her, no power can fight her, all that avails is flight.

Saving sunshines...

Tuesday, September 16, 2008

That cursed evening.. i still remember it like it was yesterday.. one fateful leap.. and she ripped.. my heart broke.. everytime i see her now.. it reminds me of that evening.. i couldn't stand it any more.. GOD!! I HAD TO DO IT!

And so i decided.. today was the day.. i went to God.. asked him if he could.. if he could... "save" my sunshines.. he said, "of course i can, i AM god.. but.. there would be a price to pay".. The thought of having her back clouded my judgement.. WHY????? Why did i agree to it??? AAAARGH!! and so i endured the most horrifying 5 minutes of my life in MIT.. i had to endure the pain of watching her being sewn together.. stitch by stitch.. everytime his needle went through her skin.. it felt like a knife was being pierced through my heart... and now.. when i look at her.. i see those scars.. and i regret my choice.. she will never be the same again.. never.. never...

P.S. Those of you who want to know who i'm talkin about.. ask ash.. but id advice you not to... seriously..

His Holy Kung-fuiness says..

Monday, September 8, 2008

Yesterday is history, tommorow is a mystery, but today is a gift... thats why it's called the present.
- Master Ooguey


Sunday, September 7, 2008

Calculated crystals, kept here for reference:
1.
Starting from a structure optimized by DFT (GGA-PBE), the powder diffraction line list of BaTaNiN3 was calculated for copper Kα.
Peak positions follow from Bragg's law for the DFT cell and can differ from measured ones.

Atomic structure:
```
data_BaTaNiN3
_symmetry_space_group_name_H-M 'P 1 21/m 1'
_symmetry_Int_Tables_number 11
_cell_length_a 7.206
_cell_length_b 3.303
_cell_length_c 7.857
_cell_angle_alpha 90.00
_cell_angle_beta 110.31
_cell_angle_gamma 90.00
loop_
_symmetry_equiv_pos_as_xyz
'x,y,z'
'-x,-y,-z'
'-x,y+1/2,-z'
'x,-y+1/2,z'
loop_
_atom_site_label
_atom_site_fract_x
_atom_site_fract_y
_atom_site_fract_z
Ba1 0.225 0.250 0.246
Ta1 0.321 0.750 0.863
Ni1 0.087 0.250 0.601
N1 0.143 0.250 0.870
N2 0.201 0.750 0.557
N3 0.469 0.750 0.137
```

Main lines, sorted by position (10° ≤ 2θ ≤ 80°):
2theta  I_rel
14.38  82
26.38  54
29.00  100
29.64  82
34.25  60
36.55  61
37.04  96
38.10  58
43.34  39
44.13  39

---

2.
Starting from a structure optimized by DFT (GGA-PBE), the powder diffraction line list of RbBaNpN3 was calculated for copper Kα.
Peak positions follow from Bragg's law for the DFT cell and can differ from measured ones.

Atomic structure:
```
data_RbBaNpN3
_symmetry_space_group_name_H-M 'C 1 2/c 1'
_symmetry_Int_Tables_number 15
_cell_length_a 6.400
_cell_length_b 13.585
_cell_length_c 6.148
_cell_angle_alpha 90.00
_cell_angle_beta 97.18
_cell_angle_gamma 90.00
loop_
_symmetry_equiv_pos_as_xyz
'x,y,z'
'-x,-y,-z'
'-x,y,-z+1/2'
'x,-y,z+1/2'
'x+1/2,y+1/2,z'
'-x+1/2,-y+1/2,-z'
'-x+1/2,y+1/2,-z+1/2'
'x+1/2,-y+1/2,z+1/2'
loop_
_atom_site_label
_atom_site_fract_x
_atom_site_fract_y
_atom_site_fract_z
Rb1 0.000 0.242 0.250
Ba1 0.000 0.409 0.750
Np1 0.000 0.063 0.750
N1 0.000 0.206 0.750
N2 0.197 0.024 0.498
```

Main lines, sorted by position (10° ≤ 2θ ≤ 80°):
2theta  I_rel
13.03  25
15.40  23
27.34  70
28.10  38
29.23  100
38.28  24
43.65  14
48.10  17
49.61  15
52.97  14

---

3.
Starting from a structure optimized by DFT (GGA-PBE), the powder diffraction line list of Ba3NpRe2N8 was calculated for copper Kα.
Peak positions follow from Bragg's law for the DFT cell and can differ from measured ones.

Atomic structure:
```
data_Ba3NpRe2N8
_symmetry_space_group_name_H-M 'P -3 m 1'
_symmetry_Int_Tables_number 164
_symmetry_space_group_name_Hall '-P 3 2"'
_cell_length_a 6.1107
_cell_length_b 6.1107
_cell_length_c 7.8426
_cell_angle_alpha 90.00
_cell_angle_beta 90.00
_cell_angle_gamma 120.00
loop_
_atom_site_label
_atom_site_fract_x
_atom_site_fract_y
_atom_site_fract_z
Ba1 0.0000 0.0000 0.0000
Ba2 0.3333 0.6667 0.6724
Np1 0.0000 0.0000 0.5000
Re1 0.3333 0.6667 0.2331
N1 0.1694 0.3388 0.3205
N2 0.3333 0.6667 0.0072
```

Main lines, sorted by position (10° ≤ 2θ ≤ 80°):
2theta  I_rel
11.28  11
20.24  12
28.33  90
29.23  100
41.16  40
51.27  36
51.83  21
55.70  13
60.61  15
68.23  16

---

4.
Starting from a structure optimized by DFT (GGA-PBE), the powder diffraction line list of Ba2NpSi2N6 was calculated for copper Kα.
Here the piece continues:

This blog needs a makeover.. me n ash were jus discussin an ideal blog name... all sortsa stuff from im*dash*.com to iforgotthenameofmysite.com ... an then we finally realized that ywesaywhatwesay.com is *dash* enuf. Jus got a new applet on the sidebar which actually allows u to blog from ur desktop... no wonder im bloggin now. Y do u think i wud be randomly bloggin.. unless i was *dash*.. yea thats a possibility.. i mean which sadass wud blog his way to death wen he has underwear washin nd a mechanics assignment pending.. sigh.. jus shows the extent of my *dash*... sigh.. ok before i sign off and stop trublin u with my *dash*.. ok i forgot what i was gonna say... fuck... this *dash* is gettin to me..
tc.. chow.. peace out..

P.S. jus in case ur wonderin

1. *dash* = *bore* in all tenses and whatever

2. whoever read this blog to get this part must be totally *dash*.. jus like me.. so i advice u to text me..

3. hi to all my ancient blog friends.. haven been able to check ur blogs for a while..

4. don expect any more philosophical stuff on my blog... *dash* is officially gonna be my most used word..

5. and now before i spread this *dash* fever... goodnight.